Archive for April 23rd, 2009

Things I kinda meant to blog about

April 23, 2009

1. Our obsession with climate change is killing off animals left and right

EU policies promoting a market for biofuels triggered the destruction of Indonesian rain forests in favor of palm plantations. Meanwhile, the forestry industry has argued that their monoculture plantations in Asia, Africa, and South America deserve credit as carbon sinks, but the data show that these biological deserts are actually spewing out carbon dioxide. […] Conservationists now have an apparent ally in the White House, so let’s tell him to slow down and get those forest protections in place before the carbon-conscious spill any more blood.

2. Global Warming, Thirsty Energy: 7 Dimensional Chess

## Misplaced crystal structures
____________
Theoretical PXRD pattern
Compound: CeNd2Tm6
Radiation: Cu Kα X-rays
Structure: a DFT-relaxed cell (GGA-PBE, Alexandria)
Kinematic intensities with the Lorentz-polarization factor, no thermal factor.

Top 8 peaks for 10° ≤ 2θ ≤ 90°, low angle first:
| index | 2θ (°) | Rel. int. |
| --- | --- | --- |
| 2 -1 1 | 31.58 | 83.7 |
| 3 0 0 | 32.06 | 100.0 |
| 0 2 1 | 33.39 | 14.9 |
| 2 2 1 | 45.62 | 27.9 |
| 5 -4 1 | 56.85 | 26.9 |
| 3 3 0 | 57.15 | 18.5 |
| 3 0 2 | 62.71 | 17.7 |
| 6 0 0 | 67.04 | 13.2 |

Structural model:
a b c (Å): 9.6703 9.6703 3.4965
angles (deg): 90.00 90.00 120.00
Element x y z (fractional)
Ce: 0.0000 0.0000 0.0000
Nd: 0.3333 0.6667 0.7638
Nd: 0.6667 0.3333 0.2362
Tm: 0.0218 0.3483 0.2698
Tm: 0.3265 0.9782 0.2698
Tm: 0.3483 0.3265 0.7302
Tm: 0.6517 0.6735 0.2698
Tm: 0.6735 0.0218 0.7302
Tm: 0.9782 0.6517 0.7302


Entry 1:
Starting from DFT lattice parameters and positions (PBE), the powder diffractogram of Li8Ca3Al was calculated for Cu Kα X-rays.
Kinematic intensities with the Lorentz-polarization factor, no thermal factor.

Crystal structure
```
data_Li8Ca3Al
_chemical_formula_sum 'Li24 Ca9 Al3'
_symmetry_space_group_name_H-M 'R 3 m'
_symmetry_Int_Tables_number 160
_symmetry_space_group_name_Hall 'R 3 -2"'
_cell_length_a 5.7547
_cell_length_b 5.7547
_cell_length_c 29.7762
_cell_angle_alpha 90.00
_cell_angle_beta 90.00
_cell_angle_gamma 120.00
loop_
_atom_site_label
_atom_site_type_symbol
_atom_site_fract_x
_atom_site_fract_y
_atom_site_fract_z
Li1 Li 0.0000 0.0000 0.0000
Li2 Li 0.0000 0.0000 0.4963
Li3 Li 0.0029 0.5015 0.7433
Li4 Li 0.0090 0.5045 0.2534
Ca1 Ca 0.0000 0.0000 0.1875
Ca2 Ca 0.0000 0.0000 0.3173
Ca3 Ca 0.0000 0.0000 0.7973
Al1 Al 0.0000 0.0000 0.6834
```

The 10 most intense peaks (2θ = 10–90°), in order of rising 2θ:
- 17.87°, d = 4.963 Å, I = 27.4, hkl 0 0 6
- 18.78°, d = 4.726 Å, I = 100.0, hkl 0 1 2
- 29.96°, d = 2.982 Å, I = 73.7, hkl 0 1 8
- 31.08°, d = 2.877 Å, I = 78.2, hkl 1 1 0
- 35.11°, d = 2.556 Å, I = 37.7, hkl 1 0 10
- 36.08°, d = 2.489 Å, I = 59.6, hkl 1 1 6
- 36.56°, d = 2.458 Å, I = 35.7, hkl 2 0 2
- 48.73°, d = 1.869 Å, I = 13.7, hkl 1 2 2
- 54.61°, d = 1.681 Å, I = 23.8, hkl 1 2 8
- 57.93°, d = 1.592 Å, I = 15.8, hkl 2 1 10

Entry 2:
Starting from DFT lattice parameters and positions (PBE), the powder diffractogram of Ac6TlCo2 was calculated for Cu Kα X-rays.
Kinematic intensities with the Lorentz-polarization factor, no thermal factor.

Crystal structure
```
data_Ac6TlCo2
_chemical_formula_sum 'Ac12 Tl2 Co4'
_symmetry_space_group_name_H-M 'C 1 2/m 1'
_symmetry_Int_Tables_number 12
_cell_length_a 13.021
_cell_length_b 4.220
_cell_length_c 12.530
_cell_angle_alpha 90.00
_cell_angle_beta 104.70
_cell_angle_gamma 90.00
loop_
_symmetry_equiv_pos_as_xyz
'x,y,z'
'-x,-y,-z'
'-x,y,-z'
'x,-y,z'
'x+1/2,y+1/2,z'
'-x+1/2,-y+1/2,-z'
'-x+1/2,y+1/2,-z'
'x+1/2,-y+1/2,z'
loop_
_atom_site_label
_atom_site_type_symbol
_atom_site_fract_x
_atom_site_fract_y
_atom_site_fract_z
Ac1 Ac 0.036 0.000 0.284
____________

Captures my ego-induced paralysis in the face of potential ecological catastrophe – and makes me think of Star Trek chess – a twofer:

Many of the new problems produced by human-induced global warming worsen each other. Trying to keep track of the interconnectedness is a little like trying to play — or even imagine — 7-dimensional chess.

For example, the growth of corn-ethanol biofuel has been shown to raise food prices … which in some places forces poor farmers cut down more forest … which releases more greenhouse CO2 into the air (about 20 percent of mankind’s annual carbon emissions are believed to come from deforestation) … [et cetera]

Where’s Brent Spiner when you need him?

3. One in ten computer gamers are ‘pathologically addicted’

The report found that poor school performance and a pathological addition to video games were strongly linked, but Dr Gentile warned that the research had not investigated which came first.

“It is certainly possible that pathological gaming causes poor school performance, and so forth, but it is equally likely that children who have trouble at school seek to play games to experience feelings of mastery, or that attention problems cause both poor school performance and an attraction to games,” he wrote in the findings, which will be published in the journal Psychological Science.

4. JG Ballard died

Although most famous for the autobiographical Empire of the Sun and the controversial Crash, Ballard also embraced technology, science and the environment as subjects for his writing and worked as an assistant editor on the Chemistry and Industry magazine.

Iain Sinclair, an author and friend of Ballard, said “He was one of the first to take up the whole idea of ecological catastrophe. He was fascinated by celebrity early on, the cult of the star and suicides of cars, motorways, edgelands of cities. All of these things he was one of the first to create almost a philosophy of.” (Daily Telegraph.)

Years ago I read The Crystal World, about some crystalline thing that grows out of control and consumes the world. It was unsettling. Then I tried reading Crash, about people who get off on car crashes, but it was too gross “adult” for me at the time. Then they made a movie about it – the one with James Spader, not the one where Matt Dillon feels up Thandie Newton.

5. Remembering the Past is Like Imagining the Future

From the physicist who brought you universes where time runs backward:

As it turns out, the way that the human brain goes about the task of “remembering the past” is actually very similar to how it goes about “imagining the future.” Deep down, these are activities with very different functions and outcomes — predicting the future is a lot less reliable, for one thing. But in both cases, the brain goes through more or less the same routine.

Update 4/23/09: I figured something like this was going on — Sean Carroll, the time physicist mentioned above, is writing a book. Congrats to him on its recent appearance on Amazon! Also: pre-order my book! Chapter 99 totally bites off Sean’s Sci Am article about time. I probably should have credited him. Oops! Sorry, Sean! 😦